A road map to the green zone
For the shipping industry to be carbon-neutral by 2050, all stakeholders need to support the maritime energy transition. The story behind the world’s first container ship to be converted to LNG offers insights into the challenges faced, opportunities offered and pioneering drive required.
The world's first container ship converted to LNG
The Baltic Sea is one of the most heavily trafficked regions in the world, accounting for up to 15% of the world’s cargo transportation. It’s also one of the most heavily regulated shipping zones and is turning into a model for green maritime transport.
Surrounded by nine countries – Sweden and Finland to the north, Russia, Estonia, Latvia and Lithuania to the east, with Poland to the south, and Germany and Denmark to the west – the region serves as an environmental benchmark for the shipping industry, which has only been achieved by collaborating and adopting more than the minimum international standards.

Wes Amelie
Instead of kicking the can down the road, the region has signed up to a cleaner road map for the future of shipping. And it’s a road map that MAN Energy Solutions is also committed to advancing. This commitment was recently demonstrated by the company’s pivotal role in engineering the world’s first conversion of a container ship’s propulsion system from heavy fuel oil to low-emission LNG: the Wes Amelie.
Launched in 2011, the Wes Amelie is a modern 1,000-TEU carrier, optimized for 45-foot containers, that operates in the North and Baltic Seas. Owned by the German shipping company Wessels Reederei, the vessel will be retrofitted to dual-fuel operation.
The motivation for the retrofit came from a number of directions. The first reason was regulatory, as Christian Hoepfner, General Manager and Head of Business Development & Special Projects at Wessels, outlines: “The design, construction and high ice-class parameters of the Wes Amelie meant that it is predestined for the shipping routes spanning the highly regulated North and Baltic Seas,” he explains. “As they are both within Emission Control Areas, the ships need to meet the highest environmental standards and strictest limits for emissions. By converting to a low-emission fuel, we are safeguarding the future of this container ship as well as our own competitiveness in this market.”
=====
LiGeNO2 | PBE | optimized geometry

Geometry as POSCAR:
```
LiGeNO2
1.0
3.777 0.000 0.000
0.000 3.777 0.000
0.000 0.000 3.830
O N Ge Li
2 1 1 1
Direct
0.500 0.000 0.000
0.000 0.500 0.000
0.000 0.000 0.500
0.000 0.000 0.000
0.500 0.500 0.500
```

Symmetry: P4/mmm
Energy relative to the elements, uncorrected (eV/atom): -0.428
D(E_F) (states/eV/cell): 0.976
Spin magnetization (μB/cell): 2.0


LiGeNO | PBE | optimized geometry

Geometry as POSCAR:
```
LiGeNO
1.0
-0.587 2.668 1.470
-2.325 -1.933 -0.693
1.803 -3.577 3.943
O Li N Ge
1 1 1 1
Direct
0.225 0.996 0.222
0.466 0.617 0.082
0.196 0.482 0.678
0.443 0.106 0.548
```

Symmetry: R3m
Energy relative to the elements, uncorrected (eV/atom): -1.121
D(E_F) (states/eV/cell): 0.000
Spin magnetization (μB/cell): 0.0


LiGeNO2 | PBE | optimized geometry

Geometry as POSCAR:
```
LiGeNO2
1.0
3.726 0.000 0.000
0.000 3.726 0.000
0.000 0.000 3.891
Ge O Li N
1 2 1 1
Direct
0.500 0.500 0.500
0.500 0.000 0.000
0.000 0.500 0.000
0.000 0.000 0.000
0.000 0.000 0.500
```

Symmetry: P4/mmm
Energy relative to the elements, uncorrected (eV/atom): 0.559
D(E_F) (states/eV/cell): 1.324
Spin magnetization (μB/cell): 4.0


Li3Pa3GeN8 | PBE | optimized geometry

Geometry as POSCAR:
```
Li3Pa3GeN8
1.0
-2.470 5.269 -3.364
-2.663 -6.321 -1.229
-0.954 2.962 5.340
Pa N Li Ge
3 8 3 1
Direct
0.500 0.500 0.500
0.000 0.500 0.500
0.500 0.000 0.500
0.213 0.983 0.708
0.270 0.541 0.287
0.787 0.017 0.292
0.730 0.459 0.713
0.770 0.983 0.708
0.753 0.505 0.272
0.247 0.495 0.728
0.230 0.017 0.292
0.000 0.500 0.000
0.500 0.500 0.000
0.000 0.000 0.000
0.000 0.000 0.500
```

Symmetry: C2/m
Energy relative to the elements, uncorrected (eV/atom): -0.686
D(E_F) (states/eV/cell): 12.129
Spin magnetization (μB/cell): 0.0


Li2Pa2GeN6 | PBE | optimized geometry

Geometry as POSCAR:
```
Li2Pa2GeN6
1.0
6.101 -0.361 0.307
-3.329 5.125 0.307
-0.779 -1.340 4.969
N Ge Pa Li
6 1 2 2
Direct
0.608 0.951 0.291
0.392 0.049 0.709
0.775 0.775 0.714
0.225 0.225 0.286
0.951 0.608 0.291
0.049 0.392 0.709
0.000 0.000 0.500
0.662 0.338 0.500
0.338 0.662 0.500
0.126 0.874 0.000
0.874 0.126 0.000
```

Symmetry: C2/m
Energy relative to the elements, uncorrected (eV/atom): -0.520
D(E_F) (states/eV/cell): 5.043
Spin magnetization (μB/cell): 0.0


LiPaGeN3 | PBE | optimized geometry

Geometry as POSCAR:
```
LiPaGeN3
1.0
3.268 0.000 0.000
0.000 6.321 -0.947
0.000 -3.647 7.947
N Li Pa Ge
6 2 2 2
Direct
0.750 0.326 0.479
0.750 0.951 0.101
0.250 0.674 0.521
0.250 0.049 0.899
0.750 0.511 0.193
0.250 0.489 0.807
0.750 0.312 0.903
0.250 0.688 0.097
0.750 0.754 0.796
0.250 0.246 0.204
0.750 0.771 0.442
0.250 0.229 0.558
```

Symmetry: P2_1/m
Energy relative to the elements, uncorrected (eV/atom): -0.669
D(E_F) (states/eV/cell): 2.034
Spin magnetization (μB/cell): 0.0


Li3Pa2GeN6 | PBE | optimized geometry

Geometry as POSCAR:
```
Li3Pa2GeN6
1.0
-2.247 -5.405 -1.240
5.182 1.000 2.818
-3.135 0.985 4.186
Pa Li N Ge
2 3 6 1
Direct
0.665 0.335 0.000
0.335 0.665 0.000
0.500 0.500 0.500
=====
The design, construction and high ice-class parameters of the Wes Amelie meant that it is predestined for the shipping routes spanning the highly regulated North and Baltic Seas.
Drastic results
Once it was announced that regulations would be tightened in the North Sea and Baltic Sea Sulphur Emission Control Areas (SECAs), Wessels started investigating how to maintain, and increase, the competitiveness of their container ships for charterers in this zone. Here, after 2015, all ships have to reduce emissions of sulfur oxides (SOx) from 1% down to 0.1%, and would have to eventually also reduce nitrogen oxides (N0x). What they found out: Running on LNG, the Wes Amelie would drastically reduce emissions of SOx by over 99%, NOx by approximately 90%, and CO2 by up to 20%, without the need for aftertreatment. The numbers were convincing.
The environment and expertise
The second reason for adopting LNG was more of a personal motivation to protect the environment. Basically, the choice came down to continuing with marine diesel oil with the addition of a scrubber for exhaust gas cleaning, or switching to LNG. The former was rejected, as an open-loop system would result in discharging waste water containing sulfur into the sea. So, the decision went with LNG, as Christian Hoepfner explains: “A scrubber would have been simply inconsistent with our desire for an eco-friendly operation.” The third reason was based on engineering expertise. A retrofit on this scale is not a trivial matter and requires specialist know-how, parts and implementation. The Wes Amelie was originally fitted with an MAN 8L48/60B diesel engine, one that MAN Energy Solutions had considerable experience in converting to the dual-fuel operation. Which meant MAN was the preferred partner for the task.
Driving the transition to LNG
By scheduling the retrofit during a major planned engine overhaul, the costs would also be kept lower. The parts to be exchanged are essentially all wearing parts that will have reached the end of their effective lives, and would have been scheduled for replacement anyway, by MAN PrimeServ, the after-sales division of MAN Energy Solutions. “By providing customers with the technology to retrofit their existing fleets, including container ships, MAN is not just making a contribution to the transition to LNG-powered vessels, we are driving it,” says Stefan Eefting, Senior Vice President MAN Energy Solutions and Head of MAN PrimeServ in Augsburg.

The pioneering drive
When MAN took on this retrofit, it was more than a technologically pioneering feat. It was the result of the company’s long-standing drive toward decarbonization. Back in 2015, not satisfied with the speed of the industry’s move to gas, MAN CEO Uwe Lauber was calling for a “maritime energy transition.” The initiative was created in reference to the move to renewables in the energy market, and the necessity to reach carbon neutrality by 2050, as Lauber explains. “The Paris Agreement of COP21 set the framework for future development, not only of shipping, but of all industries. The similarity is clear. Just as the technology for renewable energy generation was available, the technology necessary to use LNG as a fuel on a large scale was also there and ready. But to untie the knot that clogged the system, politics had to jump on board, too.”
A roadmap to decarbonization
In a series of press articles, public appearances and one-on-ones, Lauber has continued to outline a simple road map to drive decarbonization in shipping. In the short to medium term, it’s achieved by establishing LNG as a fuel to lower emissions. In the long term, it will require ways to generate LNG from renewable resources. Essential for all of this is the setting of global standards. “The shipping industry is global by nature, and at the end of the day, it requires regulation on a global scale. The International Maritime Organization has to ensure a level playing field,” adds Lauber. However, this does not mean that local governments should be idle: “We need a ‘new deal’ to drive this initiative, which unites ship owners, ports, shipyards, engine manufacturers, as well as politics,” explains Lauber. “All the ingredients necessary to establish LNG are there, but it is politics that need to lead the way and make the whole industry believe that this is really happening.”
This is a lesson that Wessels has had to learn the hard way, too. When the cost estimates for the conversion came in, the project almost didn’t get off the ground. From a mere economic standpoint, the case for the retroit was a tough one to argue. The solution would require an element of political commitment, too. It was the pioneering but fully replicable character of the project that convinced the German government to get involved.
The multiplier effect
The Wes Amelie has 23 sister ships, and 16 of them are structurally identical, which guarantees that similar projects could be easily implemented in the future. In addition, as a total of 82 type MAN 48/60 engines have been installed in ships of various kinds, the actual potential for retrofitting such vessels to LNG is even greater. The scalability of the engineering services and the development costs would significantly reduce the costs for all follow-up projects.
This clear multiplier effect was the deciding factor in securing additional financial support for the project from the German government via its Federal Ministry of Trans-port and Digital Infrastructure (Bundesministerium für Verkehr und digitale Infrastruktur – BMVI). Once the BMVI recognized the contribution such a project could make to the industry in the long term, additional funding was awarded. This would also enable a short, three-year amortization of the investment. Hoepfner is convinced that it was this interplay of political support, tough regulations, advanced engineering and the right attitude to environmental protection that sealed the eco-friendly deal for the retrofit: “We were there at the right time, in the right place, with the right technology and attitude,” he says.
“The time is right to engineer the maritime energy transition,” agrees Dr. Thomas Spindler, Head of Upgrades & Retroits – MAN PrimeServ Four-Stroke – MAN Energy Solutions. “But as the example with Wes Amelie confirms, it needs a broad commitment to make it fly. Next to advanced engineering and personal conviction, pushing through with this will take better regulation and the political will to succeed. And we will keep pushing on all levels,” he promises.